## Source
-- begin --
Diffraction record for TbNd2Y6Sc. The powder XRD pattern is calculated, not measured: it uses a DFT-relaxed cell (PBE, Alexandria) and Cu Kα X-rays.
Peak positions follow from Bragg's law for the DFT cell and can differ from measured ones.

Principal peaks in the range 2θ = 5–70°, most intense first:
Position (°2θ)  I (rel.)
30.5  100
31.7  87
32.0  85
28.9  52
33.5  47
37.7  36
27.6  33
32.6  31
33.2  26
11.9  20
21.8  18
61.1  15

```
TbNd2Y6Sc
1.0
4.539 -7.424 0.000
4.539 7.424 0.000
-1.636 0.000 9.567
Tb Nd Y Sc
2 4 12 2
direct
0.017 0.983 0.750
0.983 0.017 0.250
0.197 0.294 0.547
0.294 0.197 0.047
0.706 0.803 0.953
0.803 0.706 0.453
0.009 0.571 0.690
0.123 0.744 0.057
0.256 0.877 0.443
0.298 0.506 0.885
0.429 0.991 0.810
0.494 0.702 0.615
0.506 0.298 0.385
0.571 0.009 0.190
0.702 0.494 0.115
0.744 0.123 0.557
0.877 0.256 0.943
0.991 0.429 0.310
0.409 0.591 0.250
0.591 0.409 0.750
```

~~~~~

1.
Structure and simulated powder diffraction line list of HfZn2Ni9 (DFT lattice parameters and positions (GGA-PBE); a wavelength of 1.5418 Å).
Kinematic intensities with the Lorentz-polarization factor, no thermal factor.

Cell lengths 3.6529, 3.6529, 10.7621 Å; angles 90.00, 90.00, 90.00 degrees
Space group P4/mmm (No. 123)
Unique sites:
Hf: 0.0000 0.0000 0.0000 (multiplicity 1)
Zn: 0.0000 0.0000 0.3392 (multiplicity 2)
Ni: 0.0000 0.5000 0.1763 (multiplicity 4)
Ni: 0.0000 0.5000 0.5000 (multiplicity 2)
Ni: 0.5000 0.5000 0.0000 (multiplicity 1)
Ni: 0.5000 0.5000 0.3370 (multiplicity 2)

Main lines, low angle first (10° ≤ 2θ ≤ 90°):
hkl  Position (°2θ)  I/Imax
1 0 0  24.37  4.1
1 0 1  25.76  5.1
1 0 2  29.56  4.0
1 1 2  38.67  3.6
1 1 3  43.16  100.0
2 0 0  49.93  32.4
0 0 6  50.91  14.5
2 2 0  73.30  9.6
2 0 6  74.08  17.7
3 1 3  89.03  22.8

=====

2.
Structure and simulated powder diffraction line list of TaCd2Si (DFT lattice parameters and positions (GGA-PBE); a wavelength of 1.5418 Å).
Kinematic intensities with the Lorentz-polarization factor, no thermal factor.

Cell lengths 2.8555, 4.2753, 6.6026 Å; angles 90.00, 102.44, 90.00 degrees
Space group Pm (No. 6)
Unique sites:
Ta: 0.0000 0.0000 0.0000 (multiplicity 1)
Cd: 0.2872 0.0000 0.5728 (multiplicity 1)
Cd: 0.6641 0.5000 0.3248 (multiplicity 1)
Si: 0.4575 0.5000 0.9154 (multiplicity 1)

Main lines, low angle first (10° ≤ 2θ ≤ 90°):
hkl  Position (°2θ)  I/Imax
0 1 0  20.78  26.6
0 1 1  24.99  46.5
0 0 2  27.67  23.7
0 1 2  34.85  90.6
1 0 1  37.82  67.3
1 1 -1  38.55  100.0
0 2 0  42.28  37.2
1 1 1  43.54  24.9
1 2 1  58.01  38.0
1 1 -4  63.96  29.9

=====

3.
Structure and simulated powder diffraction line list of In4Co5 (DFT lattice parameters and positions (GGA-PBE); a wavelength of 1.5418 Å).
Kinematic intensities with the Lorentz-polarization factor, no thermal factor.

Cell lengths 7.7475, 7.7475, 5.3443 Å; angles 90.00, 90.00, 120.00 degrees
Space group P6_3/mcm (No. 193)
Unique sites:
In: 0.0000 0.0000 0.0000 (multiplicity 2)
In: 0.0000 0.3743 0.2500 (multiplicity 6)
Co: 0.0000 0.2989 0.7500 (multiplicity 6)
Co: 0.3333 0.6667 0.0000 (multiplicity 4)

Main lines, low angle first (10° ≤ 2θ ≤ 90°):
hkl  Position (°2θ)  I/Imax
2 0 0  26.57  10.9
1 1 1  28.46  17.8
2 1 1  39.33  28.4
3 0 0  40.33  100.0
1 1 2  41.03  98.8
3 1 1  52.04  15.6
2 2 2  58.89  25.5
4 1 2  73.80  22.9
4 2 1  77.34  11.4
3 0 4  84.46  21.4

~~~~~

For DyThCd5, a cell relaxed with PBE gives the computed X-ray diffraction stick pattern in this record (Cu Kα X-rays).
Peak positions follow from Bragg's law for the DFT cell and can differ from measured ones.

Top 10 peaks for 5 to 70 degrees two-theta, by angle:
d 4.168, I = 29; d 3.246, I = 13; d 2.587, I = 55; d 2.535, I = 100; d 2.198, I = 11; d 2.135, I = 5; d 1.830, I = 19; d 1.758, I = 7; d 1.484, I = 37; d 1.454, I = 15

Lattice parameters (Å, degrees): 5.175 5.175 7.031 90.00 90.00 90.00
Space group P4/mmm (No. 123)
Unique sites:
1 Dy 0.000 0.000 0.000 x1
2 Th 0.500 0.500 0.500 x1
3 Cd 0.000 0.000 0.500 x1
4 Cd 0.000 0.500 0.227 x4
-- stop --

## To do
Start at the top of the data further above and print each line, ending with the one that has "0.443".

## Result
Diffraction record for TbNd2Y6Sc. The powder XRD pattern is calculated, not measured: it uses a DFT-relaxed cell (PBE, Alexandria) and Cu Kα X-rays.
Peak positions follow from Bragg's law for the DFT cell and can differ from measured ones.

Principal peaks in the range 2θ = 5–70°, most intense first:
Position (°2θ)  I (rel.)
30.5  100
31.7  87
32.0  85
28.9  52
33.5  47
37.7  36
27.6  33
32.6  31
33.2  26
11.9  20
21.8  18
61.1  15

```
TbNd2Y6Sc
1.0
4.539 -7.424 0.000
4.539 7.424 0.000
-1.636 0.000 9.567
Tb Nd Y Sc
2 4 12 2
direct
0.017 0.983 0.750
0.983 0.017 0.250
0.197 0.294 0.547
0.294 0.197 0.047
0.706 0.803 0.953
0.803 0.706 0.453
0.009 0.571 0.690
0.123 0.744 0.057
0.256 0.877 0.443